'''
The following is a r2SCAN calculation of crystalline Tb17Mg11Ni8 at its relaxed geometry, from the Materials Project database.

Size of the total moment (μB/f.u.): 0.0
Formation enthalpy at 0 K (kJ/mol of atoms): -24.2
SG: Pmmm, No. 47
Crystal system: orthorhombic
Total DFT energy (no corrections) (eV per atom): -18.9336
V (Å³ per atom): 23.814

a = 3.5962 Å, b = 10.9089 Å, c = 21.8532 Å
α = 90.00°, β = 90.00°, γ = 90.00°
Fractional positions:
Mg: 0.0000 0.5000 0.2493
Ni: 0.0000 0.1888 0.0942
Mg: 0.0000 0.5000 0.0729
Tb: 0.5000 0.6734 0.3398
Mg: 0.0000 0.1406 0.7446
Tb: 0.5000 0.0000 0.1387
Ni: 0.0000 0.8082 0.5960
Tb: 0.5000 0.3177 0.8379
Tb: 0.5000 0.0000 0.6280
Tb: 0.5000 0.2764 0.0000
Ni: 0.0000 0.1918 0.5960
Mg: 0.0000 0.1406 0.2554
Tb: 0.5000 0.7420 0.5000
Tb: 0.5000 0.3177 0.1621
Mg: 0.0000 0.5000 0.9271
Tb: 0.5000 0.6734 0.6602
Tb: 0.5000 0.7236 0.0000
Ni: 0.0000 0.8112 0.9058
Mg: 0.0000 0.8594 0.7446
Ni: 0.0000 0.1918 0.4040
Tb: 0.5000 0.0000 0.3720
Mg: 0.0000 0.5000 0.5682
Tb: 0.5000 0.2580 0.5000
Mg: 0.0000 0.0000 0.5000
Ni: 0.0000 0.1888 0.9058
Tb: 0.5000 0.3266 0.3398
Tb: 0.5000 0.0000 0.8613
Mg: 0.0000 0.5000 0.4318
Ni: 0.0000 0.8112 0.0942
Tb: 0.5000 0.3266 0.6602
Tb: 0.5000 0.6823 0.8379
Tb: 0.0000 0.0000 0.0000
Mg: 0.0000 0.8594 0.2554
Tb: 0.5000 0.6823 0.1621
Ni: 0.0000 0.8082 0.4040
Mg: 0.0000 0.5000 0.7507



The following is a r2SCAN calculation of crystalline BSBr at its relaxed geometry, from the Materials Project database.

Size of the total moment (μB/f.u.): 0.0
Formation enthalpy at 0 K (kJ/mol of atoms): -55.5
SG: P2_1/c, No. 14
Crystal system: monoclinic
Total DFT energy (no corrections) (eV per atom): -10.1218
V (Å³ per atom): 27.390

a = 4.1986 Å, b = 14.1932 Å, c = 18.2435 Å
α = 65.09°, β = 90.00°, γ = 90.00°
Fractional positions:
S: 0.8148 0.2869 0.2703
Br: 0.4147 0.0665 0.8793
B: 0.2420 0.6251 0.3333
Br: 0.9403 0.5056 0.6520
Br: 0.5583 0.7926 0.4947
S: 0.9187 0.8687 0.8070
Br: 0.9417 0.7926 0.9947
B: 0.7420 0.3749 0.1667
B: 0.5138 0.1694 0.7727
Br: 0.9147 0.9335 0.6207
S: 0.0813 0.1313 0.1930
S: 0.1953 0.6389 0.9258
S: 0.8047 0.3611 0.0742
S: 0.1852 0.7131 0.7297
B: 0.4862 0.8306 0.2273
S: 0.6953 0.3611 0.5742
Br: 0.0853 0.0665 0.3793
S: 0.5813 0.8687 0.3070
B: 0.2580 0.6251 0.8333
B: 0.9745 0.2353 0.0977
B: 0.7580 0.3749 0.6667
Br: 0.5597 0.5056 0.1520
Br: 0.5853 0.9335 0.1207
Br: 0.4403 0.4944 0.8480
B: 0.9862 0.1694 0.2727
S: 0.6852 0.2869 0.7703
B: 0.4745 0.7647 0.4023
B: 0.0138 0.8306 0.7273
S: 0.3148 0.7131 0.2297
Br: 0.0583 0.2074 0.0053
B: 0.0255 0.7647 0.9023
Br: 0.4417 0.2074 0.5053
S: 0.3047 0.6389 0.4258
B: 0.5255 0.2353 0.5977
S: 0.4187 0.1313 0.6930
Br: 0.0597 0.4944 0.3480



The following is a r2SCAN calculation of crystalline Cu at its relaxed geometry, from the Materials Project database.

Size of the total moment (μB/f.u.): 0.0
Formation enthalpy at 0 K (kJ/mol of atoms): 3.2
SG: I4/mmm, No. 139
Crystal system: tetragonal
Total DFT energy (no corrections) (eV per atom): -10.8137
ΔE to the lowest computed polymorph (meV per atom): 33.1
V (Å³ per atom): 11.458

a = 2.4611 Å, b = 2.4611 Å, c = 2.4611 Å
α = 71.78°, β = 67.99°, γ = 108.22°
Fractional positions:
Cu: 0.0000 0.0000 0.0000



The following is a r2SCAN calculation of crystalline Rb3Nb2Br9 at its relaxed geometry, from the Materials Project database.

Size of the total moment (μB/f.u.): 2.0
Formation enthalpy at 0 K (kJ/mol of atoms): -144.4
SG: P6_3/mmc, No. 194
Crystal system: hexagonal
Total DFT energy (no corrections) (eV per atom): -16.5391
V (Å³ per atom): 33.113

a = 7.7087 Å, b = 7.7089 Å, c = 18.0159 Å
α = 90.00°, β = 90.00°, γ = 120.00°
Fractional positions:
Rb: 0.6667 0.3333 0.5672
Rb: 0.3333 0.6667 0.0672
Br: 0.5079 0.4921 0.7501
Br: 0.1718 0.8282 0.5928
Rb: 0.6667 0.3333 0.9328
Br: 0.4921 0.9843 0.2499
Br: 0.8282 0.1718 0.4072
Br: 0.4921 0.5079 0.2499
Br: 0.1718 0.3436 0.5928
Br: 0.8282 0.1718 0.0927
Rb: 0.3333 0.6667 0.4328
Br: 0.3437 0.1718 0.0927
Nb: 0.6667 0.3333 0.1750
Nb: 0.3333 0.6667 0.8250
'''

Now say how many lines of the rows earlier on hold the word "mol", as a bare number.

4